On a recent morning in Palermo, I found myself a guest at the historic Lanza Tomasi palazzo, where Nicoletta Polo, the Duchess of Palma, was planning a cooking lesson for American students who would arrive after breakfast. I first met Nicoletta some twenty years ago when she was living in New York City. Originally from Venice and an excellent cook, she versed me on the food of the Veneto for research on a book I was writing then, which includes some of her recipes. Today the Duchess lives in the ancestral palace that her husband, Gioacchino Lanza Tomasi, has restored.
This is no ordinary palace because the duke is no ordinary duke. He is the cousin and adopted son of Giuseppe Tomasi di Lampedusa, the childless 11th and last Prince of Lampedusa, who wrote Il Gattopardo (The Leopard), the celebrated book about the decline of the Sicilian aristocracy at the time of Garibaldi’s conquest and the beginnings of modern Italy. The duke, the author’s adored and charming heir, was the inspiration for Don Fabrizio’s nephew in the novel, the dashing young hero, Tancredi (played by Alain Delon in the 1963 film by Luchino Visconti). Published in 1957, The Leopard is considered to be Italy’s finest novel and the best historical novel of the 20th century.
Nor is the Duchess an ordinary duchess. She gives cooking classes in the palace kitchen, which begin as every proper Italian cooking lesson should–early in the morning at the market, to procure the best and freshest ingredients.
The Capo market is the oldest in Palermo. Its stalls are laden with seafood strange and familiar, fresh from the morning catch and luminous in the morning light.
Among the mysterious foods are cucuzza squash, their long, curly tendrils reaching out as though asking to be made into Palermo’s signature tenerumi soup with “picchi-pacchi” sauce.

Here the page breaks off for calculated crystals:
┌──
Entry 1:
A relaxed Cu2BPd2 crystal. Source: Alexandria via LeMat-Bulk, functional PBE.

Values from the calculation:
energy above the lowest structure with this stoichiometry = 0 meV per atom
formation energy from the elements = 22 meV/atom
electronic total energy = -5.029 eV per atom

The structure in CIF format:
```
data_Cu2BPd2
_cell_length_a 5.575
_cell_length_b 5.575
_cell_length_c 4.310
_cell_angle_alpha 90.00
_cell_angle_beta 90.00
_cell_angle_gamma 90.00
_symmetry_space_group_name_H-M 'P 4/m b m'
_symmetry_Int_Tables_number 127
_symmetry_space_group_name_Hall '-P 4 2ab'
loop_
_atom_site_label
_atom_site_type_symbol
_atom_site_fract_x
_atom_site_fract_y
_atom_site_fract_z
Cu1 Cu 0.156 0.344 0.000
B1 B 0.000 0.000 0.500
Pd1 Pd 0.166 0.666 0.500
```

---

Entry 2:
A relaxed CuBPd4 crystal. Source: Alexandria via LeMat-Bulk, functional PBE.

Values from the calculation:
energy above the lowest structure with this stoichiometry = 0 meV per atom
formation energy from the elements = -130 meV/atom
electronic total energy = -5.388 eV per atom

The structure in CIF format:
```
data_CuBPd4
_cell_length_a 13.285
_cell_length_b 5.560
_cell_length_c 4.779
_cell_angle_alpha 90.00
_cell_angle_beta 110.96
_cell_angle_gamma 90.00
_symmetry_space_group_name_H-M 'C 1 2/m 1'
_symmetry_Int_Tables_number 12
_symmetry_space_group_name_Hall '-C 2y'
loop_
_atom_site_label
_atom_site_type_symbol
_atom_site_fract_x
_atom_site_fract_y
_atom_site_fract_z
Cu1 Cu 0.192 0.000 0.192
B1 B 0.000 0.500 0.313
Pd1 Pd 0.000 0.237 0.000
Pd2 Pd 0.120 0.248 0.619
Pd3 Pd 0.190 0.500 0.190
```

---

Entry 3:
A relaxed Pm2CuBPd6 crystal. Source: Alexandria via LeMat-Bulk, functional PBE.

Values from the calculation:
formation energy from the elements = -595 meV/atom
electronic total energy = -5.738 eV per atom

The structure in CIF format:
```
data_Pm2CuBPd6
_cell_length_a 5.699
_cell_length_b 5.717
_cell_length_c 7.193
_cell_angle_alpha 67.02
_cell_angle_beta 66.79
_cell_angle_gamma 60.20
_symmetry_space_group_name_H-M 'P -1'
_symmetry_Int_Tables_number 2
_symmetry_space_group_name_Hall '-P 1'
loop_
_atom_site_label
_atom_site_type_symbol
_atom_site_fract_x
_atom_site_fract_y
_atom_site_fract_z
Pm1 Pm 0.217 0.224 0.345
Cu1 Cu 0.500 0.500 0.500
B1 B 0.000 0.000 0.000
Pd1 Pd 0.234 0.713 0.815
Pd2 Pd 0.237 0.229 0.804
Pd3 Pd 0.275 0.772 0.192
```

=====

1.
# Sr4PrTh3As8 GGA-PBE optimized geometry
# * SG: R-3m
# * total energy: -92.0 eV/cell
data_Sr4PrTh3As8
_symmetry_space_group_name_H-M 'P 1'
_symmetry_Int_Tables_number 1
_cell_length_a 8.749
_cell_length_b 8.805
_cell_length_c 8.749
_cell_angle_alpha 119.79
_cell_angle_beta 120.00
_cell_angle_gamma 90.00
loop_
_symmetry_equiv_pos_as_xyz
'x,y,z'
loop_
_atom_site_label
_atom_site_type_symbol
_atom_site_fract_x
_atom_site_fract_y
_atom_site_fract_z
Sr1 Sr 0.500 0.000 0.000
Sr2 Sr 0.000 0.000 0.000
Sr3 Sr 0.000 0.000 0.500
Sr4 Sr 0.500 0.000 0.500
As1 As 0.245 0.729 0.984
As2 As 0.738 0.729 0.984
As3 As 0.258 0.274 0.516
└──

At the Capo market, artichokes next to tenerumi, the leaves and buds of the elongated “cucuzza,” squash, used in Palermo’s signature soup. Photo: Julia della Croce
The marketplace is a spectacle, noisy and alluring, the merchants calling out to you, trying to seduce you with their food. The street vendors who hawk their wares are the actors in this spectacle and the air is filled with their piercing cries.
Here’s my favorite street vendor at the Capo market, the old salt fish seller.
By the time you’re done shopping you can’t wait to return to the palace kitchen for a lesson in the local cooking. But first you’ll stop in the lush palace garden that overlooks the sea, shaded by palms, filled with flowers, and scented with jasmine, wisteria, and bougainvillea. Here, the Duchess will pick the herbs you’ll need.
Finally, even the cooking class is not ordinary. After a four-course Sicilian meal is prepared, the Duchess invites her students to eat lunch with her and her entire family, the heirs of the ancient Lampedusa line. You can chat with the Duke and Duchess and their family while ancestors’ portraits look on from the palace walls.

The dining room facing the sea. Here’s where the Duchess’s family gathers for lunch when there are enough guests. Photo: Benedetto Tarantino
If you know the Luchino Visconti film based on The Leopard, you can all but see Burt Lancaster as the lion-like Don Fabrizio at the head of the table, breaking the golden crust of the timballo, macaroni pie, its mists wafting delicious aromas. Now, it is the Duchess of Palma who presides at the table.

**Misplaced crystal structures:**
'''
(1)
# Ho4Te5Au

Ho4Te5Au after structural relaxation (PBE, the Alexandria database).

Calculated values
Density of states at the Fermi level   6.59 states/eV per cell
Total magnetization   0.247 μB/cell
Formation energy (no corrections)   -1.060 eV/atom

Geometry as CIF:
```
data_Ho4Te5Au
_cell_length_a 9.246
_cell_length_b 9.969
_cell_length_c 7.605
_cell_angle_alpha 90.00
_cell_angle_beta 90.00
_cell_angle_gamma 90.00
_space_group_name_H-M_alt 'P m m n'
_space_group_IT_number 59
loop_
_space_group_symop_operation_xyz
'x,y,z'
'-x,-y,-z'
'-x+1/2,-y+1/2,z'
'x+1/2,y+1/2,-z'
'x+1/2,-y,-z'
'-x+1/2,y,z'
'-x,y+1/2,-z'
'x,-y+1/2,z'
loop_
_atom_site_label
_atom_site_fract_x
_atom_site_fract_y
_atom_site_fract_z
Ho1 0.002 0.250 0.068
Ho2 0.250 0.021 0.526
Te1 0.023 0.549 0.240
Te2 0.250 0.750 0.691
Au1 0.250 0.250 0.297
```

=====

(2)
# Ho5Te4Au

Ho5Te4Au after structural relaxation (PBE, the Alexandria database).

Calculated values
Density of states at the Fermi level   8.77 states/eV per cell
Total magnetization   0.000 μB/cell
Formation energy (no corrections)   -1.198 eV/atom

Geometry as CIF:
```
data_Ho5Te4Au
_cell_length_a 9.661
_cell_length_b 9.661
_cell_length_c 6.116
_cell_angle_alpha 90.00
_cell_angle_beta 90.00
_cell_angle_gamma 90.00
_space_group_name_H-M_alt 'I 4/m'
_space_group_IT_number 87
_space_group_name_Hall '-I 4'
loop_
_atom_site_label
_atom_site_fract_x
_atom_site_fract_y
_atom_site_fract_z
Ho1 0.000 0.000 0.000
Ho2 0.098 0.723 0.500
Te1 0.089 0.692 0.000
Au1 0.000 0.000 0.500
```

=====

(3)
# Ho6Te5Au

Ho6Te5Au after structural relaxation (PBE, the Alexandria database).

Calculated values
Density of states at the Fermi level   7.61 states/eV per cell
Total magnetization   0.000 μB/cell
Formation energy (no corrections)   -1.231 eV/atom

Geometry as CIF:
```
data_Ho6Te5Au
_cell_length_a 7.534
_cell_length_b 12.987
_cell_length_c 7.507
_cell_angle_alpha 90.00
_cell_angle_beta 109.31
_cell_angle_gamma 90.00
_space_group_name_H-M_alt 'C 1 2/m 1'
_space_group_IT_number 12
loop_
_space_group_symop_operation_xyz
'x,y,z'
'-x,-y,-z'
'-x,y,-z'
'x,-y,z'
'x+1/2,y+1/2,z'
'-x+1/2,-y+1/2,-z'
'-x+1/2,y+1/2,-z'
'x+1/2,-y+1/2,z'
loop_
_atom_site_label
_atom_site_fract_x
_atom_site_fract_y
_atom_site_fract_z
Ho1 0.226 0.000 0.259
Ho2 0.230 0.154 0.731
Te1 0.000 0.179 0.000
Te2 0.000 0.336 0.500
Te3 0.000 0.500 0.000
Au1 0.000 0.000 0.500
```

=====

(4)
# Ho2TeAu

Ho2TeAu after structural relaxation (PBE, the Alexandria database).

Calculated values
Density of states at the Fermi level   8.10 states/eV per cell
Total magnetization   0.000 μB/cell
Excess energy over the best structure of this formula in the dataset   0.0 meV per atom
Formation energy (no corrections)   -1.079 eV/atom

Geometry as CIF:
```
data_Ho2TeAu
_cell_length_a 4.035
_cell_length_b 23.525
_cell_length_c 4.469
_cell_angle_alpha 90.00
_cell_angle_beta 90.00
_cell_angle_gamma 90.00
_space_group_name_H-M_alt 'C m c m'
_space_group_IT_number 63
_space_group_name_Hall '-C 2c 2'
'''
**The crystal structures stop here:**

Last touches on the timballo di anelletti (molded macaroni) and pasta al pesto di pistacchi (pasta with pistachio pesto). Photo: Angelo Modesto
This day, macaroni with a pesto sauce made from the famous local Bronte pistachios was on the menu, followed by the swordfish bought during the morning’s excursion, roasted and flavored with garlic and the garden mint.
For dessert, gelo di limone, lemon jelly made from the fruit of palace garden’s own lemon trees. A refreshing finish to a wonderful meal.
After lunch, the Duchess brings you on a tour of the palace, which is full of reminders of the book–an ancient telescope on the terrace, portraits of ancestors, even popes and family members who became saints. The full-length portraits are, on the left, the Duchess’s Spanish mother-in-law and the baby, Giuseppe, the duke’s brother. Now 87, he joins the family table. The woman on the right is one of the duke’s aunts, his father’s sister.
Gioacchino Tomasi has reassembled his father’s library. “He didn’t have many books,” he says. “Just six thousand, but he knew them well. A bit like Montaigne.”

Records of crystals from another source follow:
********
Entry 1:
{"formula": "CoMoCl2", "functional": "PBE-GGA", "state": "optimized geometry", "lattice_angstrom": [[7.142, 2.318, -0.345], [4.057, 6.318, 0.345], [-4.917, -5.203, 2.291]], "species": ["Co", "Cl", "Cl", "Mo"], "frac_coords": [[0.750, 0.250, 0.500], [0.389, 0.389, 0.000], [0.111, 0.111, 0.000], [0.250, 0.750, 0.500]], "dft_energy_ev_per_atom": -5.319, "space_group": "No. 71", "relative_energy_mev_per_atom": 273.8, "e_form_raw_ev_per_atom": 0.09, "total_magnetization_mub_per_cell": 1.35}

=====

Entry 2:
{"formula": "TaMnP2Cl", "functional": "PBE-GGA", "state": "optimized geometry", "lattice_angstrom": [[-1.492, 2.390, 3.307], [-2.347, -3.383, 1.386], [3.438, -1.350, 2.527]], "species": ["Mn", "Ta", "Cl", "P", "P"], "frac_coords": [[0.000, 0.000, 0.000], [0.500, 0.500, 0.500], [0.000, 0.000, 0.500], [0.000, 0.500, 0.000], [0.500, 0.000, 0.000]], "dft_energy_ev_per_atom": -5.915, "space_group": "No. 123", "relative_energy_mev_per_atom": 528.6, "e_form_raw_ev_per_atom": 0.82, "total_magnetization_mub_per_cell": 0.00}

=====

ZnCoPt after structural relaxation, computed with PBE-GGA.

## Properties
Crystal system   orthorhombic
Space group   Imm2, No. 44
ΔH_f (0 K)   -184 meV/atom

Lattice parameters (Å, degrees): 4.6101 4.6101 4.6101 145.38 132.33 60.24
Last column: magnetic moment on the atom in μB.
Element x y z (fractional)
Zn  0.6647  0.6647  0.0000  -0.03
Pt  0.3346  0.3346  0.0000  0.25
Co  0.0008  0.0008  0.0000  1.70



HfNi2Os after structural relaxation, computed with PBE-GGA.

## Properties
Crystal system   cubic
Space group   Fm-3m, No. 225
ΔH_f (0 K)   -113 meV/atom

Lattice parameters (Å, degrees): 4.3041 4.3041 4.3041 60.00 60.00 60.00
Element x y z (fractional)
Ni  0.7500  0.7500  0.7500
Hf  0.0000  0.0000  0.0000
Ni  0.2500  0.2500  0.2500
Os  0.5000  0.5000  0.5000



MgMnAl4 after structural relaxation, computed with PBE-GGA.

## Properties
Energy above the lowest structure with this stoichiometry   0.000 eV per atom
Crystal system   monoclinic
Space group   C2/c, No. 15
ΔH_f (0 K)   -26 meV/atom

Lattice parameters (Å, degrees): 4.7637 6.8118 6.8116 102.92 100.43 100.44
Element x y z (fractional)
Al  0.0628  0.9324  0.3022
Al  0.9371  0.0676  0.6978
Al  0.3721  0.8489  0.6599
Mg  0.2499  0.4091  0.5909
Mn  0.7500  0.0012  0.9988
Al  0.5628  0.3021  0.9323
Mg  0.7500  0.5909  0.4091
Al  0.1278  0.3401  0.1510
Al  0.6278  0.1510  0.3401
Mn  0.2500  0.9988  0.0012
Al  0.4372  0.6979  0.0677
Al  0.8722  0.6599  0.8490



Cu2AsHPd after structural relaxation, computed with PBE-GGA.

## Properties
Crystal system   tetragonal
Space group   P4/mmm, No. 123

Lattice parameters (Å, degrees): 3.9122 3.9122 3.9098 90.00 90.00 90.00
Element x y z (fractional)
Pd  0.0000  0.0000  0.5000
H  0.0000  0.0000  0.0000
Cu  0.5000  0.0000  0.0000
As  0.5000  0.5000  0.5000
Cu  0.0000  0.5000  0.0000



K2MgCdHg6 after structural relaxation, computed with PBE-GGA.

## Properties
Crystal system   orthorhombic
Space group   Immm, No. 71
********

There are books in Italian, French, English, German, Russian, and Spanish, which Prince Giuseppe Tomasi read over and over again. Photo: Benedetto Tarantino
Reading The Leopard you learn more than you could ever glean from travel guides about this pungent land that is both harsh and beautiful. While much has changed in the 151 years since Sicily became part of Italy, you will find that much hasn’t. There are still the “baroque towns and orange groves … undulating hills… [and] indigo smudges of sea;” the wind blowing steadily, “moving myrtles and broom, spreading a smell of thyme” as described by Tomasi.
And there is still a great cuisine, arisen from ancient traditions, which you can learn about at the palace school and sample at this legendary table.
Nicoletta Polo will be your guide to Palermo, arguably the most colorful city in Italy, to the palace and its generous kitchen. She gives hands-on classes with market tours (Cooking with the Duchess), and has tastefully restored apartments within the palazzo for paying guests (Butera 28).
Such an experience is not had every day.
[…] Forktales – Ever wonder what it would be like to have a cooking lesson in Sicilia conducted in palazzo by a Duchess? Well, Julia Della Croce article will mesmerize you with wonderful photos and descriptive prose. […]
Julia, what a dream piece this is. You have amazing access to this woman and her home — something the rest of us can only fantasize about. And your photos are just gorgeous. I love their size. They deserve to be large. Brava.
What’s so remarkable is that the Duchess of Palma offers cooking classes in her palace. Anyone can contact her through the link I provide and find out about her class offerings!
Dear Ms. Della Croce,
What a truly spectacular article! Thanks so much for introducing me to the Duchess and the beautiful Lanza Tomasi palazzo. A class with her is the stuff of which a food lover’s dreams are made. And indeed, the palazzo could have been used as the set for The Leopard. And what a joy to see the market and all the sellers. You offer a wealth of information throughout your site. Thanks for an insider’s perspective. I have been devoted reader of your books ever sice I purchased Pasta Classica – well it must have been twenty years ago. You book Roma is another favorite and your newest book Italian Home Cooking is getting quite a workout in my home and has made a much appreciated gift for several friends and family members. Thank you for your generosity of spirit and for sharing your wealth of knowledge. – Sincerely, Adri Barr Crocetti
You are no doubt a both a serious cook and book lover, the kind of reader every author longs for!
Just returned from a 9 day stay in her apartment #13. We also were able to participate in her cooking lesson day.
I agree with everything you have written!
It was a great location, central! She also has great connections for your every travel need!! Highly recommend staying at Butera 28. Not as expensive as you might think either!
I’m happy to hear it. And yes, agreed, the cost is extremely reasonable. A real find in every way.Thanks so much for reporting back!
[…] I was doing a little “google-stalking” on my hosts, and came across this website, which tells the tale better than I can about where I am staying, and the cooking lessons given by the Duchess. If anyone is planning a trip to Italy.. http://juliadellacroce.com/forktales1/2012/04/06/feasting-with-leopards-an-unordinary-cooking-lesson… […]
Hi Julia, my name is Alison, as I mentioned above, I came across your blog, and borrowed it, never thinking it would find its own way here…the internet never ceases to amaze!
I am fortunate enough to be staying at the Butera with the Duchess for a month or two, and am enjoying it immensely. I hope it was OK to link your website to mine, I thought it was such a lovely article.
Have a safe and happy Christmas!
What a lucky woman you are to be staying at the Palazzo Lanza Tomasi and the Duchess over Christmas (?!). Of course, you may link my website and blog to yours. Buone feste! JdC
Julia, what a gorgeous post. Read The Leopard as a high school girl, a gift from my Sicilian father. Saw the Visconte film as a college girl;could it be those Sicilians weren’t half savage after all? Years later, spent time in Sicily with my husband and three boys. You have captured, as you always do, the heart and soul of a people, their history, their food.
Oh how exciting…thank you for your little glimpse of the life in the cooking school! I may just have the opportunity to experience this myself later this year & so I eagerly absorb all this information. May I also please link this post for my friends to get a feel for what I am up to?
Exciting….love Veronica xx
Happy that you found the post. I haven o doubt that you’ll love the Duchess’s unique cooking school in Palermo. Of course, you may link my post it to your blog. You may want to subscribe to my blog to get new posts automatically. I recently wrote a follow-up to An Unordinary Cooking Lesson, called A Sauce Fit for a Prince, that includes one of the Duchess’s recipes, and more about Palazzo Lanza Tomasi.
Hi Julia;
We just enjoyed the cooking class today with two other couples. It was an incredible experience! A once in a lifetime magical delight! It was a lunch with Sicilian Majesty! It was a first hand glimpse into a colorful and exotic history, passed on to unsuspecting guests. One that we will share often. All that in a one day cooking class in Palermo.
I was in the same class as Steve. The food and the Duke and Duchess were a delight. We are so happy to belong to them!
Warms my heart to hear you went. Send photos if you have any– it would be fun to share with other readers on this blog, if you like.
What the Duchess offers is remarkable. Besides the willingness to draw outsiders into an extraordinary rarified life, she does it with such generosity and warmth.
A footnote, if you took any photos you like, perhaps they’d make an interesting post for other readers. Send them along if you like, I’d love to see them. Thanks for letting me know you visited. I’m so pleased.
thank you!
Thank you! Good morning. To contact the Duchess about her classes, go to http://www.cookingwiththeduchess.com—and do let me know, I’d love to hear about your trip. Buon viaggio!
Thank you! You can reach the Duchess at http://www.cookingwiththeduchess.com. Send my regards, and safe travels!
[…] Feasting with Leopards: An Unordinary Cooking Lesson in Sicily – Folktales […]